=====
one) Here is C8H13I2N2Pd as an isolated structure from the OMol25 dataset. Energies are from ωB97M-V/def2-TZVPD.

Cartesian coordinates (Å):
Pd1 0.62 -0.90 0.97
I1 2.88 -2.44 0.54
C1 3.34 -2.05 2.63
I2 1.81 -0.76 3.47
H1 4.31 -1.56 2.70
H2 3.33 -3.00 3.16
C2 0.92 1.28 0.02
C3 -0.10 1.74 -0.85
C4 -0.10 1.48 -2.25
C5 -1.00 2.08 -3.12
C6 -2.09 2.82 -2.67
C7 -2.10 3.09 -1.30
C8 -1.23 2.49 -0.41
H3 0.99 1.80 0.99
H4 1.88 1.04 -0.46
H5 0.61 0.75 -2.63
H6 -0.82 2.06 -4.19
H7 -2.81 3.26 -3.34
H8 -2.78 3.88 -0.95
H9 -1.42 2.55 0.66
N1 -0.55 -3.76 1.23
N2 -1.16 -2.54 1.08
H10 -0.59 -4.40 0.44
H11 -0.50 -4.16 2.16
H12 -1.72 -2.25 1.91
H13 -1.73 -2.50 0.22

Calculated values
- multiplicity = 5
- LUMO (alpha / beta) (eV) = -10.049 / -13.601
- highest occupied orbital energy (alpha / beta) (eV) = -18.24 / -19.41
- frontier orbital gap (alpha / beta) (eV) = 8.190 / 5.812
- total charge = +3



two) Here is C8H13I2N2Pd as an isolated structure from the OMol25 dataset. Energies are from ωB97M-V/def2-TZVPD.

Cartesian coordinates (Å):
Pd1 -1.58 0.32 0.60
I1 -3.75 1.86 0.54
C1 -4.90 0.51 -0.64
I2 -3.89 -1.34 -0.76
H1 -5.00 0.95 -1.62
H2 -5.85 0.38 -0.13
C2 -0.19 -1.56 -0.38
C3 1.20 -1.51 -0.71
C4 1.63 -1.21 -2.02
C5 3.01 -1.36 -2.41
C6 3.98 -1.69 -1.49
C7 3.58 -1.99 -0.20
C8 2.21 -1.85 0.21
H3 -0.47 -2.08 0.53
H4 -0.88 -1.64 -1.21
H5 0.93 -0.86 -2.76
H6 3.25 -1.26 -3.46
H7 5.02 -1.80 -1.79
H8 4.29 -2.39 0.52
H9 1.97 -2.03 1.25
N1 -1.24 3.86 2.50
N2 -0.46 2.80 2.59
H10 -0.97 4.60 1.85
H11 -1.84 4.11 3.28
H12 -0.56 2.28 3.46
H13 0.50 2.92 2.26

Calculated values
- multiplicity = 5
- LUMO (alpha / beta) (eV) = -9.636 / -13.345
- highest occupied orbital energy (alpha / beta) (eV) = -18.01 / -18.66
- frontier orbital gap (alpha / beta) (eV) = 8.372 / 5.314
- total charge = +3



If we sort the structures by their calculated energies, the order from most to least stable is two), one).



one) Here is one molecule with the formula C3H4ClF from the OMol25 dataset. Energies are from ωB97M-V/def2-TZVPD.

Cartesian coordinates (Å):
F1 0.62 1.93 -0.15
C1 0.59 0.58 -0.06
Cl1 2.12 -0.01 0.06
C2 -0.22 -0.50 -0.67
C3 -0.51 -0.01 0.71
H1 0.29 -1.45 -0.78
H2 -1.21 -0.25 -1.32
H3 -0.24 -0.94 1.35
H4 -1.44 0.66 0.85

Calculated values
- multiplicity = 1
- structure (SMILES) = FC1(Cl)CC1
- LUMO (eV) = 0.959
- highest occupied orbital energy (eV) = -10.05
- frontier orbital gap (eV) = 11.009



two) Here is a 2-piece molecular cluster, C3H4ClF overall from the OMol25 dataset. Energies are from ωB97M-V/def2-TZVPD.

Cartesian coordinates (Å):
C1 -2.02 -0.33 0.45
C2 -0.82 0.00 -0.05
C3 0.21 0.69 -0.51
F1 1.04 1.53 0.16
H1 -2.94 0.37 0.38
H2 -2.30 -1.33 0.72
H3 0.29 0.96 -1.50
Cl1 2.91 -1.43 -0.03
H4 3.63 -0.46 0.37

Calculated values
- multiplicity = 1
- structure (SMILES) = C=C=CF.Cl
- LUMO (eV) = 0.779
- highest occupied orbital energy (eV) = -9.73
- frontier orbital gap (eV) = 10.505



three) Here is one molecule with the formula C3H4ClF from the OMol25 dataset. Energies are from ωB97M-V/def2-TZVPD.

Cartesian coordinates (Å):
F1 -0.57 1.72 0.64
C1 0.16 0.79 0.05
C2 -0.63 -0.24 -0.63
C3 0.25 -0.48 0.68
Cl1 1.76 -1.35 0.22
H1 1.05 1.18 -0.35
H2 -0.25 -0.51 -1.58
H3 -1.68 -0.55 -0.72
H4 -0.09 -0.55 1.70

Calculated values
- multiplicity = 1
- structure (SMILES) = F[C@@H]1C[C@H]1Cl
- LUMO (eV) = 1.133
- highest occupied orbital energy (eV) = -10.10
- frontier orbital gap (eV) = 11.232



If we sort the structures by their calculated energies, the order from most to least stable is three), one), two).



one) Here is one molecule with the formula C5H13NO2 from the OMol25 dataset. Energies are from ωB97M-V/def2-TZVPD.

Cartesian coordinates (Å):
C1 1.29 1.93 1.18
N1 1.41 0.49 1.07
C2 -0.10 -0.37 0.90
C3 0.09 -0.78 -0.49
C4 0.17 0.21 -1.62
O1 0.87 -1.91 -0.63
C5 -1.71 -1.35 -0.41
O2 -2.65 -0.32 -0.60
H1 0.97 2.25 2.18
H2 0.55 2.31 0.47
H3 2.23 2.44 0.95
H4 2.00 0.11 1.81
H5 -0.83 0.41 1.11
H6 0.00 -1.17 1.62
H7 1.18 0.61 -1.71
H8 -0.53 1.03 -1.48
H9 -0.06 -0.30 -2.57
=====

Could you start at the top of the material earlier on and set down each line, ending with the one that has "H13 -1.73"?

one) Here is C8H13I2N2Pd as an isolated structure from the OMol25 dataset. Energies are from ωB97M-V/def2-TZVPD.

Cartesian coordinates (Å):
Pd1 0.62 -0.90 0.97
I1 2.88 -2.44 0.54
C1 3.34 -2.05 2.63
I2 1.81 -0.76 3.47
H1 4.31 -1.56 2.70
H2 3.33 -3.00 3.16
C2 0.92 1.28 0.02
C3 -0.10 1.74 -0.85
C4 -0.10 1.48 -2.25
C5 -1.00 2.08 -3.12
C6 -2.09 2.82 -2.67
C7 -2.10 3.09 -1.30
C8 -1.23 2.49 -0.41
H3 0.99 1.80 0.99
H4 1.88 1.04 -0.46
H5 0.61 0.75 -2.63
H6 -0.82 2.06 -4.19
H7 -2.81 3.26 -3.34
H8 -2.78 3.88 -0.95
H9 -1.42 2.55 0.66
N1 -0.55 -3.76 1.23
N2 -1.16 -2.54 1.08
H10 -0.59 -4.40 0.44
H11 -0.50 -4.16 2.16
H12 -1.72 -2.25 1.91
H13 -1.73 -2.50 0.22